_Source_
(1)
The following is a DFT calculation (PBE) of a geometry-optimized BaInSbPd3 structure.

It has space group Cmcm (No. 63), with a = 7.063 Å, b = 13.171 Å, c = 6.519 Å, α = 90.00°, β = 90.00° and γ = 90.00°. The asymmetric unit holds Ba at (0.000, 0.213, 0.250), In at (0.000, 0.479, 0.250), Sb at (0.000, 0.120, 0.750), Pd at (0.000, 0.317, 0.750) and Pd at (0.203, 0.000, 0.000).

The formation energy from raw total energies comes out at -0.513 eV/atom. Its theoretical density is 7.59 g/cm³. The value obtained for the total DFT energy (no corrections) is -4.5730 eV per atom. The calculation puts the density of states at the Fermi level at 0.398 states/eV/atom. The calculation puts the magnetic moment at 0.0 μB/f.u.

(2)
The following is a DFT calculation (PBE) of a geometry-optimized Ba2In3SbPd4 structure.

It has space group P-4m2 (No. 115), with a = 4.874 Å, b = 4.874 Å, c = 10.653 Å, α = 90.00°, β = 90.00° and γ = 90.00°. The asymmetric unit holds Ba at (0.000, 0.500, 0.243), In at (0.000, 0.500, 0.882), In at (0.500, 0.500, 0.500), Sb at (0.000, 0.000, 0.500), Pd at (0.000, 0.000, 0.000), Pd at (0.000, 0.500, 0.623) and Pd at (0.500, 0.500, 0.000).

The formation energy from raw total energies comes out at -0.644 eV/atom. Its theoretical density is 7.65 g/cm³. The value obtained for the total DFT energy (no corrections) is -4.3391 eV per atom. The calculation puts the density of states at the Fermi level at 0.435 states/eV/atom. The calculation puts the magnetic moment at 0.0 μB/f.u.

(3)
The following is a DFT calculation (PBE) of a geometry-optimized BaInSiPd3 structure.

It has space group Cmcm (No. 63), with a = 7.259 Å, b = 13.050 Å, c = 6.230 Å, α = 90.00°, β = 90.00° and γ = 90.00°. The asymmetric unit holds Ba at (0.000, 0.229, 0.250), In at (0.000, 0.465, 0.750), Si at (0.000, 0.083, 0.750), Pd at (0.000, 0.260, 0.750) and Pd at (0.198, 0.000, 0.000).

The formation energy from raw total energies comes out at -0.561 eV/atom. Its theoretical density is 6.75 g/cm³. The value obtained for the total DFT energy (no corrections) is -4.8381 eV per atom. The calculation puts the density of states at the Fermi level at 0.429 states/eV/atom. The calculation puts the magnetic moment at 0.0 μB/f.u.

(4)
The following is a DFT calculation (PBE) of a geometry-optimized BaInSn2Pd2 structure.

It has space group P4/mmm (No. 123), with a = 5.032 Å, b = 5.032 Å, c = 6.617 Å, α = 90.00°, β = 90.00° and γ = 90.00°. The asymmetric unit holds Ba at (0.000, 0.000, 0.000), In at (0.000, 0.000, 0.500), Sn at (0.500, 0.500, 0.262) and Pd at (0.000, 0.500, 0.500).

Its theoretical density is 6.96 g/cm³. As for the calculated formation energy: -0.37 eV per atom. The value obtained for the total DFT energy (no corrections) is -4.2121 eV per atom. The calculation puts the density of states at the Fermi level at 0.407 states/eV/atom. The calculation puts the magnetic moment at 0.0 μB/f.u.

(5)
The following is a DFT calculation (PBE) of a geometry-optimized BaInSnPd structure.

It has space group R3m (No. 160, hexagonal axes), with a = 4.7079 Å, b = 4.7079 Å, c = 18.7423 Å, α = 90.00°, β = 90.00° and γ = 120.00°. The asymmetric unit holds Ba at (0.0000, 0.0000, 0.0000), In at (0.0000, 0.0000, 0.5428), Sn at (0.0000, 0.0000, 0.7943) and Pd at (0.0000, 0.0000, 0.1774).

Its theoretical density is 6.61 g/cm³. As for the calculated formation energy: -0.58 eV per atom. The value obtained for the total DFT energy (no corrections) is -4.0443 eV per atom. The calculation puts the density of states at the Fermi level at 0.595 states/eV/atom. The calculation puts the magnetic moment at 0.0 μB/f.u.

(6)
The following is a DFT calculation (PBE) of a geometry-optimized Ba2InSn4Pd3 structure.

_To do_
Work out how many lines further above have the word "In" in them; a number is enough.

_Solution_
5